~~~
# 1
# Mo2IrRuN | Alexandria via LeMat-Bulk | PBE | relaxed
# DFT total energy = -9.727 eV per atom
# Calculated density = 12.37 Mg/m³
# Space group = No. 123
# Formation energy without anion corrections = -0.10 eV/atom
data_Mo2IrRuN
_symmetry_space_group_name_H-M 'P 1'
_symmetry_Int_Tables_number 1
_cell_length_a 4.081
_cell_length_b 4.081
_cell_length_c 4.022
_cell_angle_alpha 90.00
_cell_angle_beta 90.00
_cell_angle_gamma 90.00
loop_
_symmetry_equiv_pos_as_xyz
'x,y,z'
loop_
_atom_site_label
_atom_site_fract_x
_atom_site_fract_y
_atom_site_fract_z
Ir1 0.500 0.500 0.500
Ru1 0.000 0.000 0.500
N1 0.000 0.000 0.000
Mo1 0.000 0.500 0.000
Mo2 0.500 0.000 0.000



# 2
# MoIrS2N | Alexandria via LeMat-Bulk | PBE | relaxed
# Distance to the lowest polymorph of the same formula = 112 meV/atom
# DFT total energy = -6.361 eV per atom
# Calculated density = 7.23 Mg/m³
# Space group = No. 123
# Formation energy without anion corrections = 0.89 eV/atom
data_MoIrS2N
_symmetry_space_group_name_H-M 'P 1'
_symmetry_Int_Tables_number 1
_cell_length_a 4.762
_cell_length_b 4.762
_cell_length_c 3.709
_cell_angle_alpha 90.00
_cell_angle_beta 90.00
_cell_angle_gamma 90.00
loop_
_symmetry_equiv_pos_as_xyz
'x,y,z'
loop_
_atom_site_label
_atom_site_fract_x
_atom_site_fract_y
_atom_site_fract_z
S1 0.000 0.500 0.000
N1 0.000 0.000 0.500
Mo1 0.000 0.000 0.000
S2 0.500 0.000 0.000
Ir1 0.500 0.500 0.500



# 3
# MoIrS2N | Alexandria via LeMat-Bulk | PBE | relaxed
# Distance to the lowest polymorph of the same formula = 0 meV/atom
# DFT total energy = -6.473 eV per atom
# Calculated density = 7.11 Mg/m³
# Space group = No. 123
# Formation energy without anion corrections = 0.78 eV/atom
data_MoIrS2N
_symmetry_space_group_name_H-M 'P 1'
_symmetry_Int_Tables_number 1
_cell_length_a 4.849
_cell_length_b 4.849
_cell_length_c 3.639
_cell_angle_alpha 90.00
_cell_angle_beta 90.00
_cell_angle_gamma 90.00
loop_
_symmetry_equiv_pos_as_xyz
'x,y,z'
loop_
_atom_site_label
_atom_site_fract_x
_atom_site_fract_y
_atom_site_fract_z
Mo1 0.500 0.500 0.500
N1 0.000 0.000 0.500
Ir1 0.000 0.000 0.000
S1 0.500 0.000 0.000
S2 0.000 0.500 0.000



# 4
# TaMo2IrN | Alexandria via LeMat-Bulk | PBE | relaxed
# DFT total energy = -10.521 eV per atom
# Calculated density = 13.62 Mg/m³
# Space group = No. 123
# Formation energy without anion corrections = -0.38 eV/atom
data_TaMo2IrN
_symmetry_space_group_name_H-M 'P 1'
_symmetry_Int_Tables_number 1
_cell_length_a 4.094
_cell_length_b 4.094
_cell_length_c 4.214
_cell_angle_alpha 90.00
_cell_angle_beta 90.00
_cell_angle_gamma 90.00
loop_
_symmetry_equiv_pos_as_xyz
'x,y,z'
loop_
_atom_site_label
_atom_site_fract_x
_atom_site_fract_y
_atom_site_fract_z
N1 0.000 0.000 0.000
Ta1 0.000 0.000 0.500
Mo1 0.000 0.500 0.000
Ir1 0.500 0.500 0.500
Mo2 0.500 0.000 0.000



# 5
# TcMo2IrN | Alexandria via LeMat-Bulk | PBE | relaxed
# DFT total energy = -10.004 eV per atom
# Calculated density = 12.22 Mg/m³
# Space group = No. 123
# Formation energy without anion corrections = -0.16 eV/atom
data_TcMo2IrN
_symmetry_space_group_name_H-M 'P 1'
_symmetry_Int_Tables_number 1
_cell_length_a 4.098
_cell_length_b 4.098
_cell_length_c 4.015
_cell_angle_alpha 90.00
_cell_angle_beta 90.00
_cell_angle_gamma 90.00
loop_
_symmetry_equiv_pos_as_xyz
'x,y,z'
loop_
_atom_site_label
_atom_site_fract_x
_atom_site_fract_y
_atom_site_fract_z
Tc1 0.000 0.000 0.500
Ir1 0.500 0.500 0.500
Mo1 0.000 0.500 0.000
Mo2 0.500 0.000 0.000
N1 0.000 0.000 0.000



# 6
# Tc2MoIrN | Alexandria via LeMat-Bulk | PBE | relaxed
# DFT total energy = -9.849 eV per atom
# Calculated density = 12.48 Mg/m³
# Space group = No. 123
# Formation energy without anion corrections = -0.10 eV/atom
data_Tc2MoIrN
_symmetry_space_group_name_H-M 'P 1'
_symmetry_Int_Tables_number 1
_cell_length_a 4.023
_cell_length_b 4.023
_cell_length_c 4.095
_cell_angle_alpha 90.00
_cell_angle_beta 90.00
_cell_angle_gamma 90.00
loop_
_symmetry_equiv_pos_as_xyz
'x,y,z'
loop_
_atom_site_label
_atom_site_fract_x
_atom_site_fract_y
~~~

Copy the whole of the rows further up unchanged.

# 1
# Mo2IrRuN | Alexandria via LeMat-Bulk | PBE | relaxed
# DFT total energy = -9.727 eV per atom
# Calculated density = 12.37 Mg/m³
# Space group = No. 123
# Formation energy without anion corrections = -0.10 eV/atom
data_Mo2IrRuN
_symmetry_space_group_name_H-M 'P 1'
_symmetry_Int_Tables_number 1
_cell_length_a 4.081
_cell_length_b 4.081
_cell_length_c 4.022
_cell_angle_alpha 90.00
_cell_angle_beta 90.00
_cell_angle_gamma 90.00
loop_
_symmetry_equiv_pos_as_xyz
'x,y,z'
loop_
_atom_site_label
_atom_site_fract_x
_atom_site_fract_y
_atom_site_fract_z
Ir1 0.500 0.500 0.500
Ru1 0.000 0.000 0.500
N1 0.000 0.000 0.000
Mo1 0.000 0.500 0.000
Mo2 0.500 0.000 0.000



# 2
# MoIrS2N | Alexandria via LeMat-Bulk | PBE | relaxed
# Distance to the lowest polymorph of the same formula = 112 meV/atom
# DFT total energy = -6.361 eV per atom
# Calculated density = 7.23 Mg/m³
# Space group = No. 123
# Formation energy without anion corrections = 0.89 eV/atom
data_MoIrS2N
_symmetry_space_group_name_H-M 'P 1'
_symmetry_Int_Tables_number 1
_cell_length_a 4.762
_cell_length_b 4.762
_cell_length_c 3.709
_cell_angle_alpha 90.00
_cell_angle_beta 90.00
_cell_angle_gamma 90.00
loop_
_symmetry_equiv_pos_as_xyz
'x,y,z'
loop_
_atom_site_label
_atom_site_fract_x
_atom_site_fract_y
_atom_site_fract_z
S1 0.000 0.500 0.000
N1 0.000 0.000 0.500
Mo1 0.000 0.000 0.000
S2 0.500 0.000 0.000
Ir1 0.500 0.500 0.500



# 3
# MoIrS2N | Alexandria via LeMat-Bulk | PBE | relaxed
# Distance to the lowest polymorph of the same formula = 0 meV/atom
# DFT total energy = -6.473 eV per atom
# Calculated density = 7.11 Mg/m³
# Space group = No. 123
# Formation energy without anion corrections = 0.78 eV/atom
data_MoIrS2N
_symmetry_space_group_name_H-M 'P 1'
_symmetry_Int_Tables_number 1
_cell_length_a 4.849
_cell_length_b 4.849
_cell_length_c 3.639
_cell_angle_alpha 90.00
_cell_angle_beta 90.00
_cell_angle_gamma 90.00
loop_
_symmetry_equiv_pos_as_xyz
'x,y,z'
loop_
_atom_site_label
_atom_site_fract_x
_atom_site_fract_y
_atom_site_fract_z
Mo1 0.500 0.500 0.500
N1 0.000 0.000 0.500
Ir1 0.000 0.000 0.000
S1 0.500 0.000 0.000
S2 0.000 0.500 0.000



# 4
# TaMo2IrN | Alexandria via LeMat-Bulk | PBE | relaxed
# DFT total energy = -10.521 eV per atom
# Calculated density = 13.62 Mg/m³
# Space group = No. 123
# Formation energy without anion corrections = -0.38 eV/atom
data_TaMo2IrN
_symmetry_space_group_name_H-M 'P 1'
_symmetry_Int_Tables_number 1
_cell_length_a 4.094
_cell_length_b 4.094
_cell_length_c 4.214
_cell_angle_alpha 90.00
_cell_angle_beta 90.00
_cell_angle_gamma 90.00
loop_
_symmetry_equiv_pos_as_xyz
'x,y,z'
loop_
_atom_site_label
_atom_site_fract_x
_atom_site_fract_y
_atom_site_fract_z
N1 0.000 0.000 0.000
Ta1 0.000 0.000 0.500
Mo1 0.000 0.500 0.000
Ir1 0.500 0.500 0.500
Mo2 0.500 0.000 0.000



# 5
# TcMo2IrN | Alexandria via LeMat-Bulk | PBE | relaxed
# DFT total energy = -10.004 eV per atom
# Calculated density = 12.22 Mg/m³
# Space group = No. 123
# Formation energy without anion corrections = -0.16 eV/atom
data_TcMo2IrN
_symmetry_space_group_name_H-M 'P 1'
_symmetry_Int_Tables_number 1
_cell_length_a 4.098
_cell_length_b 4.098
_cell_length_c 4.015
_cell_angle_alpha 90.00
_cell_angle_beta 90.00
_cell_angle_gamma 90.00
loop_
_symmetry_equiv_pos_as_xyz
'x,y,z'
loop_
_atom_site_label
_atom_site_fract_x
_atom_site_fract_y
_atom_site_fract_z
Tc1 0.000 0.000 0.500
Ir1 0.500 0.500 0.500
Mo1 0.000 0.500 0.000
Mo2 0.500 0.000 0.000
N1 0.000 0.000 0.000



# 6
# Tc2MoIrN | Alexandria via LeMat-Bulk | PBE | relaxed
# DFT total energy = -9.849 eV per atom
# Calculated density = 12.48 Mg/m³
# Space group = No. 123
# Formation energy without anion corrections = -0.10 eV/atom
data_Tc2MoIrN
_symmetry_space_group_name_H-M 'P 1'
_symmetry_Int_Tables_number 1
_cell_length_a 4.023
_cell_length_b 4.023
_cell_length_c 4.095
_cell_angle_alpha 90.00
_cell_angle_beta 90.00
_cell_angle_gamma 90.00
loop_
_symmetry_equiv_pos_as_xyz
'x,y,z'
loop_
_atom_site_label
_atom_site_fract_x
_atom_site_fract_y